September 2021
Adjusting Course for the Crosswinds: Charting Success for a Country Club During a Pandemic
by M. Scott Weaver

James Nanson is General Manager and Chief Operating Officer for the Milburn Country Club, situated among the close-in suburbs of Kansas City, Missouri. He's an executive coaching client and completed the Leadership Excellence Course in 2019. He began his career in the hospitality industry as a teenager during the 1990s, working his way up from the kitchen to being among the Club's key management and decision makers 2010. James is a gifted leader, well-respected by his fellow country club general managers and his Club's board of governors.
On any journey you must take account of the winds. Arriving where you're aiming involves steering through adversity and adjusting your course. This holds true in driving, sailing, flying, playing golf, and in running a business. Members enjoying their golf games is crucial to business for James Nanson, General Manager of the Milburn Country Club in Overland Park, Kansas.
James is no stranger to adversity. In November 2010, Milburn's clubhouse was destroyed by fire for the second time within 100 years, and the Club's board of governors considered closing the club and selling the property. James, other key members of the staff, and the board developed a shared vision for taking the club forward. He became its champion. The country club and golfing market was transforming, as were prospective members' expectations. With the help of James's insight and championing of their shared vision, they rebuilt. Milburn's 18-hole golf course enjoys an outstanding reputation and was among Golf Digest's Top 10 renovated courses in 2017.
Across sectors of the hospitality industry, negotiating the COVID-19 pandemic has been like playing a round of golf through a series of strong Kansas crosswinds. As a player you assess the course conditions, select a club, and pour your experience and judgment through the swing to connect with the ball. With the thwack of contact, the wind—an external force beyond your control—influences the journey you'll then make to each green on the course. Crosswinds of inside-out market conditions and disrupted supply chains land business operations far off the fairways. March of 2020 brought those winds to everyone's game.
In January of 2020, James and his team saw a terrific year ahead. The Club's membership was full-to-capacity, the local economy was booming, and an extensive, 18-month renovation of the pool facilities was underway. When we met in late February to review his outlook for the summer season, his top priority was finding qualified staff in the tight local labor market, after having made two difficult, key personnel changes in the past two months.
With COVID-19 already in the news, we briefly discussed key assumptions used by the U.S. government in planning against a flu pandemic. Those assumptions proved useful to James in the weeks following March 13, 2020. Local mayors put public health emergency measures in place and closed-down public life.
James took three key steps. First, he guided his leadership team to accept 2020 would be different and focused them on adapting. Second, he led them through hard decisions and quickly adjusted the staff's size. Third, he communicated daily with the Club's members and its board of governors. He prioritized always explaining what his team was doing and how it all worked to keep the Club open for members' use. James also gave his team three key tasks:
- Keep the environment safe as possible through responsible actions,
- Stay open and as fully operational as is appropriate to circumstances, and
- Be friendly and inviting for all members.
As conditions changed, James and his team always asked and answered, "what can we do next to do our best by our members?" They continually improvised and adapted.
Throughout the Spring and Summer of 2020, the Club saw a 40% increase in golf course use. The opportunity to be outdoors with others, at a distance, with relatively little risk was like gold.
The restaurant started a curbside meal and grocery service. Not only could members still enjoy their menu favorites while sheltering in place, but they could also take advantage of the club's access to food and household necessities that were hard to come by at the store.
When schools transitioned to an online format in the Fall of 2020, James and his team transformed their indoor and outdoor dining areas into socially distanced, monitored study halls available to the children of the members. This was a win-win scenario: parents could continue to work, and it kept the Club's staff employed.
James and his team delivered outstanding results in overcoming COVID-19 pandemic-related challenges throughout 2020. This became clear in late October. Mid-November and New Year's Day traditionally make the year's financials for businesses in this industry sector. Several other Country Clubs in the nation faced precarious fiscal situations just weeks ahead of the year's end. Early on, James and his team understood and took action to set a different course. 2020 ended with Milburn Country Club financially sound.
During 2021, the Milburn Country Club team has adjusted, innovated, and invested to respond in a dynamic public health situation. From April through July, the Club's operations returned to more typical form as vaccinations and low infection rates brought members back to the dining rooms and newly renovated pool facilities. Now as Autumn approaches, some of the optimism of Spring and early Summer has given way to caution with the Delta variant of COVID-19. James and his team continue to focus on the three key tasks for keeping Milburn Country Club a welcome respite:
== Misplaced calculated crystals ==
- - -
Structure and theoretical powder XRD pattern of CsCo2P2O7 (a cell relaxed with PBE+U; Cu Kα).

Principal peaks in the range 2θ = 5–70°, by angle:
23.17 deg, I 100, (1 0 4); 25.55 deg, I 64, (0 1 5); 31.88 deg, I 61, (1 1 0); 39.79 deg, I 20, (0 2 4); 45.96 deg, I 32, (1 1 9); 51.86 deg, I 25, (2 1 4)

Atomic structure:
Lattice parameters (Å, degrees): 5.6137 5.6137 25.0114 90.00 90.00 120.00
Space group R32 (No. 155, hexagonal axes)
One atom of each set of equivalent atoms:
Cs 0.0000 0.0000 0.0000 x3
Co 0.0000 0.0000 0.2339 x6
P 0.0000 0.0000 0.4360 x6
- - -
- Keep the environment safe as possible through responsible actions,
- Stay open and as fully operational as is appropriate to circumstances, and
- Be friendly and inviting for all members.
James's effectiveness comes from the trust he's earned by communicating honestly, openly, and continually with Milburn Country Club's board of directors, members, and staff. He creates the motivational climate for his staff to innovate and take initiative, sets clear priorities to focus their efforts, and uses feedback in communication. Applying what he learned in the Leadership Excellence Course, James continues to grow in his ability to successfully maneuver through conflicts and difficult decisions. With his leadership, the Milburn staff is successfully negotiating a once-in-a-generation pandemic to serve the Club's members and keep their operation a success.